Help for Gardeners: Alternative plants for deer resistance – The Morning Call

2022-05-14 06:12:58 By : Ms. Angela Chin

**Inserted here: molecular data:**
____________
one:
Density functional theory data (wB97M-V/def2-TZVPD) for C3H8N2 in the gas phase.

Last columns: bonded neighbours and bond lengths (Å).
CARTESIAN COORDINATES (ANGSTROEM)
1 C -1.220 -0.864 0.936  C2 1.496, H6 1.100, H7 1.129, H8 1.066
2 C -0.259 0.080 0.283  C1 1.496, N3 1.457, C4 1.356
3 N -0.479 1.511 0.441  C2 1.457, H9 1.025, H10 1.022
4 C 0.715 -0.394 -0.533  C2 1.356, N5 1.449, H11 1.089
5 N 1.795 0.168 -1.320  C4 1.449, H12 1.013, H13 1.007
6 H -1.837 -0.214 1.575  C1 1.100
7 H -1.875 -1.276 0.115  C1 1.129
8 H -0.839 -1.709 1.462  C1 1.066
9 H 0.296 2.095 0.110  N3 1.025
10 H -0.409 1.627 1.454  N3 1.022
11 H 0.361 -1.387 -0.805  C4 1.089
12 H 2.173 -0.615 -1.840  N5 1.013
13 H 1.579 0.977 -1.878  N5 1.007

Its SMILES is C/C(N)=C/N. The HOMO-LUMO gap is 0.3171 Ha.

---

two:
Density functional theory data (wB97M-V/def2-TZVPD) for C3H8N2 in the gas phase.

Last columns: bonded neighbours and bond lengths (Å).
CARTESIAN COORDINATES (ANGSTROEM)
1 C -0.014 0.148 0.032  C2 1.498, C3 1.494, N4 1.318
2 C -0.490 -1.255 -0.194  C1 1.498, H8 1.093, H10 1.087, H11 1.093
3 C -0.972 1.287 -0.090  C1 1.494, H9 1.091, H12 1.089, H13 1.092
4 N 1.277 0.373 0.179  C1 1.318, N5 1.292, H6 1.038
5 N 2.281 -0.403 0.423  N4 1.292, H7 1.023
6 H 1.408 1.348 0.511  N4 1.038
7 H 2.018 -1.379 0.266  N5 1.023
8 H -0.286 -1.885 0.676  C2 1.093
9 H -1.484 1.263 -1.053  C3 1.091
10 H -1.558 -1.264 -0.392  C2 1.087
11 H 0.016 -1.710 -1.050  C2 1.093
12 H -0.458 2.242 0.004  C3 1.089
13 H -1.737 1.234 0.688  C3 1.092

The HOMO-LUMO gap is 0.2994 Ha.

---

three:
Density functional theory data (wB97M-V/def2-TZVPD) for C3H8N2 in the gas phase.

Last columns: bonded neighbours and bond lengths (Å).
CARTESIAN COORDINATES (ANGSTROEM)
1 C -0.190 -2.081 1.262  N2 1.300, H6 1.153, H7 1.083
2 N 0.043 -1.333 0.225  C1 1.300, N3 1.327
3 N 0.817 -0.257 0.263  N2 1.327, C4 1.425, H8 1.031
4 C 0.638 0.669 -0.805  N3 1.425, C5 1.563, H9 1.162, H10 1.057
5 C -0.748 1.393 -0.812  C4 1.563, H11 1.099, H12 1.096, H13 1.112
6 H 0.249 -1.828 2.298  C1 1.153
7 H -0.903 -2.895 1.295  C1 1.083
8 H 1.075 0.193 1.154  N3 1.031
9 H 1.496 1.444 -0.914  C4 1.162
10 H 0.698 0.093 -1.690  C4 1.057
11 H -0.799 2.026 0.084  C5 1.099
12 H -0.901 2.013 -1.703  C5 1.096
13 H -1.473 0.564 -0.659  C5 1.112

Its SMILES is C=NNCC. The HOMO-LUMO gap is 0.3548 Ha.

---

Stability summary: most stable one, least stable two.

---

one:
Density functional theory data (wB97M-V/def2-TZVPD) for C5H6S2 in the gas phase.

Last columns: bonded neighbours and bond lengths (Å).
CARTESIAN COORDINATES (ANGSTROEM)
1 C 3.149 -0.259 -1.672  C2 1.207, H8 0.949
2 C 2.187 0.367 -1.297  C1 1.207, C3 1.438
3 C 1.169 0.987 -0.494  C2 1.438, S4 1.774, H9 1.080, H10 1.187
4 S 0.022 -0.357 -0.341  C3 1.774, C5 1.825
5 C -1.321 0.203 0.760  S4 1.825, C6 1.519, S7 1.750
6 C -2.226 -0.996 0.987  C5 1.519, H11 1.130, H12 1.129, H13 1.154
7 S -1.598 1.858 1.257  C5 1.750
8 H 3.922 -0.620 -2.087  C1 0.949
9 H 0.581 1.552 -1.201  C3 1.080
____________

Black-eyed Susans offer a handsome alternative to daylilies. Coneflowers (Echinacea) or maybe coreopsis (tickseed) are also not deer favorites. (April Gamiz/The Morning Call )

We often see small groups of deer sampling our garden. Since we don’t have fencing or a dog, we must resort to resistant plants or deer repellents. Our first option, selecting plants that are not at the top of the deer menu, yields limited results since we tend to like the same plants the deer do.

Some plants are, quite justifiably, nicknamed deer candy, and even more frustrating, the deer candy in my yard may not match the favorites of your local deer population.

Some plants, however, are almost universally, eaten by deer:

Hostas: Lovely leafy plants, no-fuss shade favorites, and deer lettuce. Recognize that the ones with waxier leaves are slightly less dining favorites. Beds away from protective tree cover are most vulnerable to munching. While deterrent formulations can reduce damage, they are work-intensive — needing multiple reapplications and can be expensive.

Suggested alternatives include ferns, coral bells (Heuchera), foamflower (Tiarella), foamy bells (Heucherella), wild ginger (Asarum canadense)

Daylilies: Beautiful and easy to grow but also a deer favorite. I have found that my daylilies that survive are usually located on a steep incline. It is a difficult spot to garden but evidently an equally difficult location for browsing.

Daylilies located near the house also have a better, but not really good, chance of survival. Alternatives include black-eyed Susans (Rudbeckia hirta), coneflowers (Echinacea) or maybe coreopsis (tickseed). I like bee balm (Monarda). The fragrant and spicy plants and flowers often deter deers.

Arborvitae: The shorn lollipop shape of many arborvitaes in the area illustrate their potential to have a place on the deer menu. We planted Green Giant arborvitae, rumored to have some resistance, years ago and for a time, they were fine. However, they too were eaten a few years ago.

Alternatives include false cypress (Chamaecyparis) or tall junipers (Junipers sp.).

Roses: Hardy stems and thorns would seem to make roses a poor dinner choice, but not to deer. Again, you can use the usual deterrents or consider other options.

Alternatives include Weigelia, abeia, butterfly bush, but only the noninvasive, sterile hybrids, and rose of Sharon (Hibiscus syriacus). There are plenty of deer-resistant plants available but remember that resistance is not deer-proof and no plant can truly claim total protection from hungry deer.

Catasauqua Garden Club: Annual Plant Sale on Saturday, May 14, from 9 a.m. to noon. The sale will be in front of Melvin’s Farm Stand (327 Front St., Catasauqua, PA). There will be heirloom tomatoes, house plants, annuals, perennials, and succulents. Penn State University (PSU) soil test kits will also be available.

_Attached: quantum chemistry results_
~~~
{"formula": "C38H67BN5O6S", "method": "wB97M-V/def2-TZVPD", "lumo_energy_ev": -2.36, "total_charge": 1, "orbital_gap_ha": 0.322, "e_tot_ev": -71731.5113, "species": ["S", "O", "O", "O", "O", "O", "O", "N", "N", "N", "N", "N", "C", "C", "C", "C", "C", "C", "C", "C", "C", "C", "C", "C", "C", "C", "C", "C", "C", "C", "C", "C", "C", "C", "C", "C", "C", "C", "C", "C", "C", "C", "C", "C", "C", "C", "C", "C", "C", "C", "B", "H", "H", "H", "H", "H", "H", "H", "H", "H", "H", "H", "H", "H", "H", "H", "H", "H", "H", "H", "H", "H", "H", "H", "H", "H", "H", "H", "H", "H", "H", "H", "H", "H", "H", "H", "H", "H", "H", "H", "H", "H", "H", "H", "H", "H", "H", "H", "H", "H", "H", "H", "H", "H", "H", "H", "H", "H", "H", "H", "H", "H", "H", "H", "H", "H", "H", "H"], "positions_angstrom": [[0.597, 0.664, 5.132], [-1.204, 4.198, -3.515], [5.737, -0.935, -4.222], [-0.814, 5.281, -1.581], [0.103, -2.237, -5.151], [-1.494, -4.537, -1.189], [6.361, -2.103, -2.409], [-0.982, 1.226, 9.158], [-1.263, -0.896, -1.205], [-3.700, -6.111, 0.172], [3.427, 6.154, -2.477], [1.437, -1.008, -0.332], [1.742, 8.229, -0.237], [-1.385, 2.751, -0.242], [0.744, 1.339, 2.438], [1.226, -3.461, -0.197], [0.674, 1.586, -2.724], [-1.286, 4.358, -2.192], [-0.783, -2.613, -2.937], [1.107, 4.926, -3.960], [-0.519, -1.571, -4.044], [-4.770, -8.070, -1.179], [3.442, -2.358, -1.826], [1.455, -3.473, 1.128], [1.246, 0.968, 1.034], [1.098, 0.477, 10.546], [-5.972, -7.613, -2.014], [-0.067, 0.895, 9.767], [-7.137, -7.127, -1.161], [-0.377, 5.166, -4.199], [2.298, 1.412, 10.357], [-1.787, -3.138, 0.897], [0.469, -0.185, 0.364], [-0.526, -2.188, -1.472], [0.220, 0.996, -1.787], [-3.345, -3.226, 0.899], [3.107, 6.541, -1.445], [-0.501, 0.323, -0.716], [5.528, -1.452, -2.958], [2.680, 7.022, -0.133], [-1.802, -0.886, -4.548], [2.848, 1.399, 8.935], [0.990, -2.210, -1.042], [1.959, -2.339, -2.256], [1.156, 0.274, 3.457], [-4.167, -6.972, -0.429], [4.220, -1.093, -2.302], [2.422, 9.458, -0.828], [-2.073, 3.258, -1.524], [-1.580, 1.246, -0.055], [-1.284, -3.342, -0.588], [-6.298, -8.456, -2.625], [-1.664, 0.949, 0.989], [-0.270, -3.539, -3.163], [-3.069, 3.643, -1.303], [1.662, 5.835, -4.159], [-0.350, 3.073, -0.182], [-2.008, -5.133, -0.615], [-3.698, -3.731, 1.794], [1.366, -0.543, 10.264], [-3.808, -2.234, 0.883], [3.082, 1.101, 11.049], [4.501, -0.514, -1.419], [-1.623, -0.566, -5.573], [-0.676, 6.180, -3.942], [-1.432, -3.983, 1.485], [0.831, -0.718, 3.140], [-1.993, 0.028, -3.975], [-1.514, -2.187, 1.352], [2.017, 2.430, 10.632], [2.277, 0.633, 1.171], [-4.005, -8.501, -1.827], [1.020, -4.189, 1.815], [3.297, 9.744, -0.240], [-6.866, -6.243, -0.580], [3.727, 2.040, 8.864], [3.926, -3.210, -2.300], [-0.326, 1.545, 2.461], [-0.069, -0.711, 1.164], [1.307, 1.836, 0.380], [5.298, -1.520, -4.854], [-1.897, 3.229, 0.594], [-5.664, -6.824, -2.702], [1.811, -1.473, -2.894], [2.244, 0.282, 3.513], [1.444, 4.138, -4.636], [3.141, 0.391, 8.637], [1.736, 10.304, -0.839], [-1.984, -1.041, -0.492], [3.562, 7.275, 0.458], [-2.546, 1.006, -0.516], [1.261, -4.407, -0.738], [0.813, 0.450, 11.599], [1.288, 4.616, -2.935], [-1.851, -2.851, -2.977], [2.746, 9.280, -1.854], [1.246, 2.265, 2.725], [0.176, -0.782, -3.773], [-5.069, -8.852, -0.479], [-0.598, 5.026, -5.255], [0.870, 7.963, -0.838], [-0.728, 0.550, 4.971], [1.279, 1.956, -3.522], [-1.793, -0.586, -2.026], [2.110, 1.766, 8.220], [3.583, -2.427, -0.751], [-2.202, 2.445, -2.241], [1.765, -3.258, -2.806], [-3.727, -3.756, 0.034], [2.275, -1.165, 0.202], [2.173, 6.205, 0.385], [-7.985, -6.861, -1.791], [2.106, -2.724, 1.575], [-2.659, -1.559, -4.533], [-7.466, -7.902, -0.467], [1.377, 8.464, 0.764], [3.613, -0.431, -2.914], [-0.565, -2.773, -5.593]], "forces_ev_per_angstrom": [[0.21, -0.07, 0.36], [0.11, 0.01, 0.06], [-0.12, -0.21, 0.10], [0.21, 0.06, 0.01], [0.09, 0.11, 0.17], [-0.16, 0.26, 0.03], [0.14, -0.11, 0.09], [0.02, 0.03, -0.07], [0.04, 0.64, -0.09], [0.20, -0.25, -0.20], [0.15, 0.09, 0.10], [-0.87, 0.11, -0.27], [0.01, 0.23, -0.07], [-0.78, 0.24, 0.48], [0.55, 0.11, -0.26], [-0.25, -0.19, 0.52], [0.67, -0.24, -0.10], [-0.30, 0.10, 0.16], [-0.49, 1.21, 0.26], [-0.65, -0.29, -0.22], [-0.28, -0.51, -1.03], [-0.10, -0.10, -0.28], [0.18, 0.64, -0.72], [0.17, 0.44, -0.34], [-0.21, -0.11, 0.38], [0.16, 0.09, 0.19], [-0.23, 0.09, 0.06], [-0.02, -0.10, -0.01], [0.04, 0.02, -0.03], [0.28, 0.20, -0.46], [0.14, 0.03, -0.17], [-1.15, 0.17, -0.68], [1.19, 0.19, -0.26], [-0.13, -1.63, -0.14], [-0.61, -0.37, -0.25], [0.01, 0.55, 0.06], [0.10, -0.07, 0.06], [-0.25, 0.67, 1.43], [0.02, 0.12, -0.09], [-0.22, 0.07, 0.15], [0.52, 0.09, 0.20], [-0.04, 0.04, 0.03], [2.37, 0.02, -0.35], [0.03, 0.15, 0.46], [-0.50, 0.42, -0.27], [-0.01, -0.11, 0.16], [-0.12, 0.07, 0.51], [-0.04, -0.04, -0.01], [0.32, -0.36, -0.35], [0.01, -0.25, -0.69], [0.70, -0.19, 0.67], [0.08, -0.04, 0.00], [0.04, 0.09, 0.06], [0.16, 0.02, 0.12], [0.01, 0.05, 0.05], [0.14, -0.05, 0.00], [0.08, -0.11, -0.12], [-0.03, -0.12, -0.12], [-0.13, -0.03, -0.05], [-0.05, 0.00, -0.07], [0.09, 0.06, 0.05], [-0.06, -0.03, 0.05], [0.00, 0.11, -0.06], [-0.06, 0.11, 0.00], [-0.09, -0.08, 0.32], [0.30, 0.19, 0.13], [0.04, -0.09, 0.16], [-0.31, -0.05, 0.02], [0.36, -0.21, 0.29], [-0.05, -0.02, 0.05], [0.04, -0.02, -0.16], [0.08, 0.04, 0.06], [1.05, -0.92, -0.28], [0.01, 0.00, -0.01], [0.01, -0.02, 0.02], [0.01, -0.01, -0.02], [-0.01, -0.21, 0.32], [-0.05, -0.10, 0.08], [-0.35, -0.07, -0.23], [-0.05, -0.01, -0.05], [0.02, 0.18, -0.17], [0.21, 0.06, 0.10], [0.07, -0.03, -0.01], [-0.08, -0.16, -0.22], [0.02, -0.18, 0.10], [0.20, 0.03, 0.04], [-0.01, 0.00, -0.01], [0.01, 0.01, -0.01], [0.17, -0.22, 0.13], [0.05, 0.00, -0.07], [-0.05, -0.01, 0.07], [-1.32, -0.10, 0.08], [-0.08, 0.00, -0.02], [0.12, 0.16, 0.05], [0.03, -0.18, -0.11], [0.03, -0.02, 0.01], [-0.16, 0.09, 0.06], [0.12, -0.16, 0.23], [0.02, 0.06, 0.09], [-0.19, -0.06, 0.04], [0.00, -0.09, 0.03], [0.01, -0.05, -0.20], [-0.25, 0.27, -0.02], [0.18, -0.22, -0.20], [-0.02, -0.04, 0.00], [-0.07, -0.42, 0.02], [0.02, 0.03,
~~~

Monocacy Farm Project: Second Annual Spring on the Farm May 14, 11 a.m. to 3 p.m. located at 395 Bridle Path Rd., Bethlehem. The event will include a variety of plants for sale direct from our greenhouse, local vendors on-site, tours of the farm, questions answered by our farmers, along with Dahlias and Canna Lilies for sale from local farmers. Admission is free and all proceeds benefit The Monocacy Farm Project.

See or for more information.

Allentown Garden Club: Annual Plant Sale May 14, 9 a.m. to 2 p.m. at Emmaus Moravian Church (146 Main St., Emmaus) at the rear of the church in the pavilion. The sale benefits the Allentown Garden Club scholarship fund. The Emmaus Moravian Church is also hosting a Spring Craft Show that day with crafters and vendors, homemade food, and children’s activities.

This week is a major event in our gardening schedule. While it is still too early to plant tomatoes, it is a good time to purchase transplants. On Tuesday, Fran and our neighbor Jack made their annual pilgrimage to the garden center. And selected this year’s varieties. They got a good selection but, of course, forgot the only one I requested, a paste tomato.

Jack plants the tomatoes in his yard because he has rich amended soil and, more importantly, a high fence around the patch. Jack will harden off the plants just in time to meet the official last frost date, planting the tomatoes around May 15.

Sue Kittek is a freelance garden columnist, writer, and lecturer. Send questions to Garden Keeper at or mail: Garden Keeper, The Morning Call, PO Box 1260, Allentown, PA 18105.

Planting: Start sequential sowing of crops like beans, radishes, lettuce, and spinach to create a longer harvest season. Set out tomatoes when the weather warms to at least 50°F at night. Wait a few weeks before setting out basil, eggplant or pepper transplants. Start seed for salsify, eggplant, summer squash and winter squash. Direct sow snap, bush and pole beans, cantaloupe, melons, cucumbers, rhubarb, summer and winter squash. Continue sewing celeric, celery, cabbage, carrots, collards, bunching onions, onion sets, parsnips, and Swiss chard. Plant or pot up summer bulbs and tubers such as dahlias, cannas, calla lilies, and caladiums. Plant bare root trees and shrubs. Make sure the soil is dry enough to work. Don’t dig or plant in the mud. Buy annuals for containers, annual garden beds and to fill in bare spots in perennial or shrub beds.

Seasonal: As the weather warms, ease out your plants that wintered over inside. Start with an hour or so on a warm day and increase outdoor time until the nights are regularly in the 50°F range before leaving them out for the season. Visit nurseries as they open for inspiration as well as new plants. Shop for summer bulbs as well. Apply a top dressing of compost to lawns and beds. Test soil for new beds, Retest soil in poorly performing areas or those that haven’t been tested in the last 3-5 years. Cut back ornamental grasses. Divide when you see new green growth. Divide hostas and daylilies. Prune and divide perennials that bloom in late summer or fall. Prune back and clear out dead, diseased or unattractive stems from perennials and shrubs, but not those that flower in the spring. Please check proper pruning information for each plant and prune as needed and recommended. Apply spring and summer mulch, two to three inches deep and placed a few inches away from foundations, tree trunks and other plants. Fluff mulch and add more if necessary. Apply corn gluten-based weed control in the garden and establish a schedule for reapplication, usually at four to six-week intervals

Lawn: By mid-May, dethatch, seed or overseed lawns. Apply broadleaf weed control and complete sod projects. By mid-June: Apply spring fertilizer treatments. Apply preemergent crabgrass control in the next few weeks. Fill in holes and low spots in lawn.

Chores: Water any recent plantings anytime we experience a week with less than an inch of rain. Fix damaged screens and garden hoses. Note damaged caulking around doors and windows. Dump standing water and remove anything that may collect rainwater to help control mosquito populations. Provide deer, rabbit and groundhog protection for vulnerable plants. Reapply taste or scent deterrents. Clean and fill bird feeders regularly. Clean up spilled seed and empty hulls. Dump, scrub and refill birdbaths at least once a week. Consider setting out nesting materials if you have them. Clear gutters and direct rainwater runoff away from house foundations.

Tools, equipment, and supplies: Store winter equipment and replace or repair as needed. Check spring/summer equipment — repair or replace damaged or worn out tools. Check power tools and mowers and send for service if needed.

Safety: Clear lawns of debris before mowing and make sure pets, children and others are well away from the area being mown. Store garden chemicals indoors away from pets and children. Discard outdated ones at local chemical collection events. Photograph storm damage before clearing or repairing for insurance claims and file promptly. Anytime you are outside and the temperatures are about 50°F or warmer watch for tick bites. Use an insect repellent containing Deet on the skin. Apply a permethrin product to clothing. Wear light-colored clothing, long sleeves, hats and long pants when working in the garden. Stay hydrated. Drink water or other non-caffeinated, nonalcoholic beverages. Even in cold weather, apply sunscreen, wear hats and limit exposure to sun. Wear closed-toe shoes and gloves; use eye protection; and use ear protection when using any loud power tools.